Senders are members who send emails for your organization. They send their emails, or you can send emails for them. Adding a sender is easy with Sales Innovator, and Sales Innovator takes care of the invitation process and makes it easy for you to manage senders.
There are two types of senders: virtual senders who are virtual sales assistants who can send emails for you, with you controlling them, or real senders who are real people who can send their emails, or you can send emails for them.
To manage or add senders, you click on the Senders navigation link. This section is different from adding team members since it is only focused on managing your senders, and all team members and senders can see this section.
All senders who can send emails for your organization are listed in manage senders. When their email accounts are connected, their status is Ready. When invited, their status will be pending, and when they accepted the invitation, their status is accepted.
There are three ways to add a sender. The first way is to add the sender by entering their profile manually. You can decide if the sender is real or virtual before adding the sender. Once you add a sender as virtual, you cannot switch it back to real.
The second way is to search for members in your organization and add them as senders. You can also go to Members and switch the sender status to Yes.
When trying to add many senders, you can use the file option. First, download the example spreadsheet and use it to add your senders to the spreadsheet. I will show you how to upload and edit senders in bulk.
To upload many senders, you will need to enter their first name, last name, email, company name, company URL, and type as required fields. Other fields are not mandatory. The type field describes if the sender is a real or virtual one.
_Inserted here: materials data_
'''
Computed X-ray diffraction stick pattern of Pm2Ni3P4Pd for Cu Kα (λ = 1.5418 Å), from the PBE geometry in Alexandria.

Structural model:
```
data_Pm2Ni3P4Pd
_cell_length_a 4.101
_cell_length_b 4.101
_cell_length_c 9.253
_cell_angle_alpha 90.00
_cell_angle_beta 90.00
_cell_angle_gamma 90.00
_symmetry_space_group_name_H-M 'P -4 m 2'
_symmetry_Int_Tables_number 115
loop_
_symmetry_equiv_pos_as_xyz
'x,y,z'
'y,-x,-z'
'-x,-y,z'
'-y,x,-z'
'-x,y,z'
'-y,-x,-z'
'x,-y,z'
'y,x,-z'
loop_
_atom_site_label
_atom_site_fract_x
_atom_site_fract_y
_atom_site_fract_z
Pm1 0.000 0.500 0.241
Ni1 0.000 0.500 0.889
Ni2 0.500 0.500 0.500
P1 0.000 0.000 0.000
P2 0.000 0.500 0.640
P3 0.500 0.500 0.000
Pd1 0.000 0.000 0.500
```

Top 8 peaks for 10 to 90 degrees two-theta, in order of falling intensity:
2θ (°)	d (Å)	I (rel.)	index
36.57	2.457	100	1 1 2
36.45	2.465	72	1 0 3
44.16	2.051	57	2 0 0
58.55	1.576	35	2 1 3
23.73	3.750	31	1 0 1
76.22	1.249	31	3 1 2
32.35	2.767	19	1 1 1
30.83	2.900	19	1 1 0

=====

Computed X-ray diffraction stick pattern of Ta4Tc3Os for Cu Kα (λ = 1.5418 Å), from the PBE geometry in Alexandria.

Structural model:
```
data_Ta4Tc3Os
_cell_length_a 3.188
_cell_length_b 4.507
_cell_length_c 9.006
_cell_angle_alpha 90.00
_cell_angle_beta 90.00
_cell_angle_gamma 90.00
_symmetry_space_group_name_H-M 'P m m m'
_symmetry_Int_Tables_number 47
loop_
_symmetry_equiv_pos_as_xyz
'x,y,z'
'-x,-y,-z'
'-x,-y,z'
'x,y,-z'
'x,-y,-z'
'-x,y,z'
'-x,y,-z'
'x,-y,z'
loop_
_atom_site_label
_atom_site_fract_x
_atom_site_fract_y
_atom_site_fract_z
Ta1 0.000 0.000 0.000
Ta2 0.000 0.000 0.500
Ta3 0.000 0.500 0.247
Tc1 0.500 0.000 0.252
Tc2 0.500 0.500 0.000
Os1 0.500 0.500 0.500
```

Top 8 peaks for 10 to 90 degrees two-theta, in order of falling intensity:
2θ (°)	d (Å)	I (rel.)	index
40.02	2.253	100	1 1 2
72.69	1.301	35	2 2 0
57.88	1.593	17	2 0 0
86.36	1.127	11	0 4 0
28.00	3.186	4	1 0 0
65.50	1.425	2	2 1 2
49.55	1.840	1	1 2 0
19.71	4.505	1	0 0 2

=====

Computed X-ray diffraction stick pattern of AcPrEu for Cu Kα (λ = 1.5418 Å), from the PBE geometry in Alexandria.

Structural model:
```
data_AcPrEu
_cell_length_a 3.893
_cell_length_b 3.893
_cell_length_c 16.193
_cell_angle_alpha 90.00
_cell_angle_beta 90.00
_cell_angle_gamma 90.00
_symmetry_space_group_name_H-M 'I 4 m m'
_symmetry_Int_Tables_number 107
_symmetry_space_group_name_Hall 'I 4 -2'
loop_
_atom_site_label
_atom_site_fract_x
_atom_site_fract_y
_atom_site_fract_z
Ac1 0.000 0.000 0.000
Pr1 0.000 0.000 0.342
Eu1 0.000 0.000 0.677
```

Top 8 peaks for 10 to 90 degrees two-theta, in order of falling intensity:
2θ (°)	d (Å)	I (rel.)	index
28.26	3.158	100	1 0 3
32.52	2.753	35	1 1 0
55.45	1.657	31	2 1 3
47.16	1.927	24	1 1 6
33.20	2.699	16	0 0 6
56.33	1.633	14	1 0 9
46.66	1.947	13	2 0 0
58.46	1.579	13	2 0 6

=====

Computed X-ray diffraction stick pattern of Pm4Nd2Ho5 for Cu Kα (λ = 1.5418 Å), from the PBE geometry in Alexandria.

Structural model:
```
data_Pm4Nd2Ho5
_cell_length_a 11.187
_cell_length_b 7.470
_cell_length_c 9.278
'''
If you are using SMTP, you can enter the SMTP details for the sender, and Sales Innovator will connect the sender automatically. You can also enter a link to a sender profile picture and use the link to get the sender's picture. Uploading these added details will save you time when adding many senders.
You can add as many senders as you want to your spreadsheet, and they will be added as senders to your organization.
Before the senders get added, you will be able to preview the senders and ensure that all their information has been entered succesfully.
Once senders are added, you will see them listed in the managed senders and the member's section. You can also view their profile data and see if it is correct.
By clicking on the action button, you manage your senders by editing their profile, deleting the sender, connecting their email account, or refreshing their email account's connection to make sure it is valid.
If you need to make changes to the profile, you can edit the profile and update their contact information. The contact information will be shown in email and landing page personalization, so make sure it is correctly entered.
If a sender has not connected their email account, you can connect their email account for them, or each sender can connect their account.
You can also verify if an account is connected by clicking refresh, and Sales Innovator will notify you if an account is succesfully connected. Now that you are connected, your sender is ready to start sending emails for all your senders.